**Job**
Duplicate the part of the material further down that starts with the line with "Symmetry: Pm-3m," and stops after the one with "0.8541 0.4296".
**Material**
(1)
A relaxed structure of ReNiPt2. Source: Alexandria via LeMat-Bulk, functional GGA-PBE.

Unit cell a=3.8770 b=2.7528 c=6.0241 alpha=62.76 beta=90.00 gamma=90.00
With the nearest neighbours (Å) after each atom.
Fractional coordinates of all 4 atoms:
Re: 0.5000 0.2500 0.2500  2 Ni 2.68, 8 Pt 2.73, 2 Re 2.75
Pt: 0.0000 0.0009 0.9994  4 Pt 2.67-2.75, 4 Ni 2.73, 4 Re 2.73
Pt: 0.0000 0.4991 0.5006  4 Pt 2.67-2.75, 4 Ni 2.73, 4 Re 2.73
Ni: 0.5000 0.7500 0.7500  2 Re 2.68, 8 Pt 2.73, 2 Ni 2.75

Properties
Symmetry: Pmmm, No. 47
E (eV/atom): -7.672

=====

(2)
A relaxed structure of Re3NiPt. Source: Alexandria via LeMat-Bulk, functional GGA-PBE.

Unit cell a=4.7149 b=4.7149 c=4.7149 alpha=90.00 beta=90.00 gamma=90.00
With the nearest neighbours (Å) after each atom.
Fractional coordinates of all 5 atoms:
Re: 0.0000 0.5000 0.0000  2 Pt 2.36
Re: 0.0000 0.0000 0.5000  2 Pt 2.36
Re: 0.5000 0.0000 0.0000  2 Pt 2.36
Pt: 0.0000 0.0000 0.0000  6 Re 2.36
Ni: 0.5000 0.5000 0.5000  12 Re 3.33

Properties
Symmetry: Pm-3m, No. 221
E (eV/atom): -7.130

=====

(3)
A relaxed structure of ReNi12Pt2. Source: Alexandria via LeMat-Bulk, functional GGA-PBE.

Unit cell a=5.6002 b=5.6002 c=12.7914 alpha=90.00 beta=90.00 gamma=90.00
With the nearest neighbours (Å) after each atom.
Fractional coordinates of all 30 atoms:
Re: 0.5000 0.0000 0.0000  8 Ni 2.38-2.39
Re: 0.0000 0.5000 0.0000  8 Ni 2.38-2.39
Ni: 0.5000 0.5000 0.7901  5 Ni 2.16-2.40
Ni: 0.0000 0.0000 0.7901  5 Ni 2.16-2.40
Ni: 0.7498 0.7502 0.8960  2 Re 2.38-2.39, 3 Ni 2.40-2.66
Ni: 0.2498 0.7498 0.8960  2 Re 2.38-2.39, 3 Ni 2.40-2.66
Ni: 0.0000 0.0000 0.3790  5 Ni 2.16-2.24
Ni: 0.2502 0.7502 0.1040  2 Re 2.38-2.39, 3 Ni 2.40-2.66
Ni: 0.8541 0.3541 0.5704  6 Ni 2.24-2.44
Ni: 0.5000 0.5000 0.3790  5 Ni 2.16-2.24
Ni: 0.2502 0.2498 0.8960  2 Re 2.38-2.39, 3 Ni 2.40-2.66
Ni: 0.7502 0.7498 0.1040  2 Re 2.38-2.39, 3 Ni 2.40-2.66
Ni: 0.3541 0.1459 0.5704  6 Ni 2.24-2.44
Ni: 0.6459 0.1459 0.4296  6 Ni 2.24-2.44
Ni: 0.0000 0.0000 0.6210  5 Ni 2.16-2.24
Ni: 0.1459 0.3541 0.4296  6 Ni 2.24-2.44
Ni: 0.2498 0.2502 0.1040  2 Re 2.38-2.39, 3 Ni 2.40-2.66
Ni: 0.8541 0.6459 0.4296  6 Ni 2.24-2.44
Ni: 0.6459 0.8541 0.5704  6 Ni 2.24-2.44
Ni: 0.0000 0.0000 0.2099  5 Ni 2.16-2.40
Ni: 0.1459 0.6459 0.5704  6 Ni 2.24-2.44
Ni: 0.5000 0.5000 0.6210  5 Ni 2.16-2.24
Ni: 0.7502 0.2502 0.8960  2 Re 2.38-2.39, 3 Ni 2.40-2.66
Ni: 0.5000 0.5000 0.2099  5 Ni 2.16-2.40
Ni: 0.3541 0.8541 0.4296  6 Ni 2.24-2.44
Ni: 0.7498 0.2498 0.1040  2 Re 2.38-2.39, 3 Ni 2.40-2.66
Pt: 0.5000 0.0000 0.2454  10 Ni 2.62-2.84
Pt: 0.0000 0.5000 0.2454  10 Ni 2.62-2.84
Pt: 0.0000 0.5000 0.7546  10 Ni 2.62-2.84
Pt: 0.5000 0.0000 0.7546  10 Ni 2.62-2.84

Properties
Symmetry: P4/nbm, No. 125
E (eV/atom): -5.788

=====

(4)
A relaxed structure of ReNiPt2. Source: Alexandria via LeMat-Bulk, functional GGA-PBE.

Unit cell a=4.7546 b=4.7546 c=4.7546 alpha=132.63 beta=132.63 gamma=69.24
With the nearest neighbours (Å) after each atom.
Fractional coordinates of all 4 atoms:
Ni: 0.2500 0.7500 0.5000  8 Pt 2.70-2.73, 4 Re 2.73
Pt: 0.0000 0.0000 0.0000  4 Re 2.70, 4 Ni 2.73, 4 Pt 2.73
Pt: 0.7500 0.2500 0.5000  4 Ni 2.70, 4 Pt 2.73, 4 Re 2.73
Re: 0.5000 0.5000 0.0000  8 Pt 2.70-2.73, 4 Ni 2.73

Properties
Symmetry: I-4m2, No. 119
E (eV/atom): -7.614

=====

Among the records above, which one has the lowest E?
number 1

=====

E of number 1 (ReNiPt2)?
-7.672 eV/atom

=====

Please write out number 3 again, unchanged.
A relaxed structure of ReNi12Pt2. Source: Alexandria via LeMat-Bulk, functional GGA-PBE.

Unit cell a=5.6002 b=5.6002 c=12.7914 alpha=90.00 beta=90.00 gamma=90.00
With the nearest neighbours (Å) after each atom.
Fractional coordinates of all 30 atoms:
Re: 0.5000 0.0000 0.0000  8 Ni 2.38-2.39
Re: 0.0000 0.5000 0.0000  8 Ni 2.38-2.39
Ni: 0.5000 0.5000 0.7901  5 Ni 2.16-2.40
Ni: 0.0000 0.0000 0.7901  5 Ni 2.16-2.40
Ni: 0.7498 0.7502 0.8960  2 Re 2.38-2.39, 3 Ni 2.40-2.66
Ni: 0.2498 0.7498 0.8960  2 Re 2.38-2.39, 3 Ni 2.40-2.66
**Result**
Symmetry: Pm-3m, No. 221
E (eV/atom): -7.130

=====

(3)
A relaxed structure of ReNi12Pt2. Source: Alexandria via LeMat-Bulk, functional GGA-PBE.

Unit cell a=5.6002 b=5.6002 c=12.7914 alpha=90.00 beta=90.00 gamma=90.00
With the nearest neighbours (Å) after each atom.
Fractional coordinates of all 30 atoms:
Re: 0.5000 0.0000 0.0000  8 Ni 2.38-2.39
Re: 0.0000 0.5000 0.0000  8 Ni 2.38-2.39
Ni: 0.5000 0.5000 0.7901  5 Ni 2.16-2.40
Ni: 0.0000 0.0000 0.7901  5 Ni 2.16-2.40
Ni: 0.7498 0.7502 0.8960  2 Re 2.38-2.39, 3 Ni 2.40-2.66
Ni: 0.2498 0.7498 0.8960  2 Re 2.38-2.39, 3 Ni 2.40-2.66
Ni: 0.0000 0.0000 0.3790  5 Ni 2.16-2.24
Ni: 0.2502 0.7502 0.1040  2 Re 2.38-2.39, 3 Ni 2.40-2.66
Ni: 0.8541 0.3541 0.5704  6 Ni 2.24-2.44
Ni: 0.5000 0.5000 0.3790  5 Ni 2.16-2.24
Ni: 0.2502 0.2498 0.8960  2 Re 2.38-2.39, 3 Ni 2.40-2.66
Ni: 0.7502 0.7498 0.1040  2 Re 2.38-2.39, 3 Ni 2.40-2.66
Ni: 0.3541 0.1459 0.5704  6 Ni 2.24-2.44
Ni: 0.6459 0.1459 0.4296  6 Ni 2.24-2.44
Ni: 0.0000 0.0000 0.6210  5 Ni 2.16-2.24
Ni: 0.1459 0.3541 0.4296  6 Ni 2.24-2.44
Ni: 0.2498 0.2502 0.1040  2 Re 2.38-2.39, 3 Ni 2.40-2.66
Ni: 0.8541 0.6459 0.4296  6 Ni 2.24-2.44
Ni: 0.6459 0.8541 0.5704  6 Ni 2.24-2.44
Ni: 0.0000 0.0000 0.2099  5 Ni 2.16-2.40
Ni: 0.1459 0.6459 0.5704  6 Ni 2.24-2.44
Ni: 0.5000 0.5000 0.6210  5 Ni 2.16-2.24
Ni: 0.7502 0.2502 0.8960  2 Re 2.38-2.39, 3 Ni 2.40-2.66
Ni: 0.5000 0.5000 0.2099  5 Ni 2.16-2.40
Ni: 0.3541 0.8541 0.4296  6 Ni 2.24-2.44